Англо-Русский словарь - Возможность просмотра всех слов на определенную букву или значения введенного слова. Более 70 тысяч слов. Поиск по словам.

...-armed - Abacus | Abaddon - Abracadabra | Abradant - Accept | Accept - Acid | Acid - Add | Add - Adt | Adt - Affidavit | Affiliate - Agin | Aging - Air-gauge | Air-gun - Algebraic | Algebraical - Allodial | Allodium - Amalgamate | Amalgamated - Amplification | Amplifier - Angelica | Angelina - Anpa | Ans - Antitoxic | Antitoxin - Appellate | Appellation - Arbitral | Arbitrament - Arkhangelsk | Arlington - Artificial | Artillerist - Assault | Assault - At | At - Atrabilious | Atrip - Authentic | Authentically - Award | Aware - Bacillus |

Back - Baec | Baedeker - Balloon | Balloon - Banns | Banquet - Barodynamics | Barograph - Bastardy | Bastardy - Be | Be - Be | Be - Bear | Bear - Bedizen | Bedlam - Beldame | Beleaguer - Berber | Berberry - Beyond | Beyond - Bilbo | Bile - Birmingham | Biro - Blackguardism | Blackguardly - Blinking | Blip - Blowpipe | Blowtorch - Bobbin | Bobbish - Bon | Bon - Border | Border-line - Bow | Bow-backed - Brant | Brant-goose - Breathe | Breathe - Bring | Bring - Brook | Brooklet - Buckthorn | Buckwheat - Bumble-puppy | Bumbledom - Burst | Burst - Buzzard | Buzzer - Cabinet |

Cabinet - Caledonian | Calefactory - Camera-man | Camera-shy - Canonization | Canonize - Caracole | Caracul - Carousal | Carouse - Case-shot | Case-worm - Catalyse | Catalysis - Cautious | Cavalcade - Center | Centering - Chain | Chain - Char-grilled | Character - Check-up | Check-weigher - Chignon | Chigoe - Choke | Choke - Chunk | Chunking - Circumjacent | Circumlittoral - Clap | Clap - Clearstory | Cleat - Cloistral | Cloistress - Cluster | Cluster - Cochin | Cochin-china - Coherence | Coherency - Colloquium | Colloquy - Come | Come - Commendation | Commensal - Commutation | Commutation - Compound | Comprador - Condemn | Condemn - Congelation | Congener - Considerable | Considerate - Contemplate | Contemplation - Conundrum | Conurbation - Copperplate | Coppery - Corporeality | Corporeity - Cottar | Cotter - Courage | Courageous - Craftsman | Craftsmanship - Crept | Crepuscular - Cross-country | Cross-cultural - Cryolite | Cryology - Curatorial | Curb - Cut-off | Cut-off - Daffodilly |

Daffy - Daring | Dark - De-icer | Dea - Debatable | Debate - Declaratory | Declare - Def. | Deface - Delicatessen | Delicious - Denatured | Denazification - Depraved | Depraved - Desperate | Desperate - Deviate | Deviation - Diarist | Diarize - Digressive | Digue - Dipteral | Dipterous - Discolor | Discoloration - Disillusionize | Disillusionment - Disrespectful | Disrobe - District | District - Dollop | Dolly - Doss | Doss - Down-hearted | Down-river - Draw | Draw - Drillhole | Drilling - Drum | Drum - Dumb | Dumb-bell - Dwell | Dweller - East |

East - Edge | Edge - Egregious | Egregious - Electrophone | Electroplate - Embarrassingly | Embarrassment - Emptiness | Empty - Enfetter | Enfilade - Entertainment | Entertainment - Eponymous | Epopee - Escalating | Escalation - Eton | Etonian - Evincive | Evirate - Excusatory | Excuse - Experienced | Experiential - Extirpation | Extirpator - Face |

Face - Faith | Faith - Fan-tail | Fanatic - Fat | Fat - Feed | Feed - Fern | Fern-owl - Fiddling | Fiddly - Fill-in | Filler - Fire | Fire - Fishery | Fishily - Flare | Flare - Flight-shot | Flighty - Flowing | Flowing - Foll. | Follicle - Forbidding | Force - Formalism | Formalist - Fox-brush | Fox-earth - Freeman | Freemason - Frolicsome | From - Full | Full - Fusee | Fusee - Gallery |

Galley - Garner | Garnet - Gds. | Gdynia - Geochemistry | Geodesy - Get | Get - Give | Give - Glimmering | Glimpse - Go | Go - Goggled | Going - Gorgeous | Gorget - Grandma | Grandmamma - Greediness | Greedy - Groat | Groats - Guardianship | Guardroom - Guvnor | Guy - Hair-pencil |

Hair-piece - Hammer-head | Hammer-throwing - Happy | Happy - Harsh | Harshness - Have-not | Have-on - Health-resort | Health-visitor - Hedge-hopper | Hedge-marriage - Hen-roost | Henbane - Hiccough | Hiccup - Hill | Hill - Hodometer | Hoe - Home-keeping | Home-made - Hop | Hop - Hosteller | Hostelry - Huddle | Hudson - Hurl | Hurl - Hyphenated | Hyphenated - Idaho |

Iddd - Ill-will | Ill-wisher - Impaired | Impairment - Imprecate | Imprecation - In | In - In | In - Incite | Incitement - Indebted | Indebtedness - Indomitable | Indonesia - Infantile | Infantine - Inhabitation | Inhabited - Inquire | Inquire - Instinctual | Institute - Intercolonial | Intercom - Interrelationship | Interrogate - Inveigle | Inveiglement - Iron-handed | Iron-mould - It | It - Jalap |

Jallopy - Jess | Jessamine - John | John - Judicious | Judith - Justify | Justify - Keep |

Keep - Kick-up | Kickback - Kiss | Kiss - Knock-kneed | Knock-out - Labour |

Labour - Lama | Lamasery - Languishing | Languor - Latino | Latitude - Laziness | Lazy - Leek | Leer - Leopold | Leotard - Libeller | Libellous - Lift | Lift - Limnology | Limousine - Litho-print | Lithograph - Lobby | Lobby - Lollipop | Lollop - Look-alike | Look-in - Love | Love - Lucubrate | Lucubration - Lying | Lying-in - Maffick |

Mafia - Make | Make - Malawi | Malax - Man-sized | Man. - Map | Map - Marrowy | Marry - Matelote | Mater - Meadow-saxifrage | Meadow-sweet - Meed | Meek - Mental | Mental - Metalliferous | Metalline - Microreader | Microscope - Military | Military - Minion | Minister - Misfit | Misfortune - Mock | Mock - Money-bag | Money-bill - Mooncalf | Moonfaced - Mossiness | Mosstrooper - Mown | Mowoff - Municipal | Municipal - Mutual | Mutualism - Nan |

Nance - Natural | Natural - Necromancy | Necromantic - Nescience | Nescient - News-letter | News-man - Nightcap | Nightfall - Noctiflorous | Noctilucous - Nonagenarion | Nonaggression - Nostrum | Nosy - Nuclear | Nuclear - N`djamena | N`t - Observation |

Records of crystals, as found in the file:
[1]
Here is a geometry-optimized VFeH2W structure from the Alexandria database. Energies are from GGA-PBE.

The structure in POSCAR format:
```
VFeH2W
1.0
3.4433 0.0000 0.0000
0.0000 3.4433 0.0000
0.0000 0.0000 4.4561
H Fe W V
2 1 1 1
direct
0.0000 0.5000 0.0000
0.5000 0.0000 0.0000
0.0000 0.0000 0.0000
0.5000 0.5000 0.5000
0.0000 0.0000 0.5000
```

Computed properties:
* raw total energy: -6.4390 eV/atom
* DOS at the Fermi energy: 1.0570 states/eV per atom

---

[2]
Here is a geometry-optimized YPa2Si6 structure from the Alexandria database. Energies are from GGA-PBE.

The structure in POSCAR format:
```
YPa2Si6
1.0
-0.6693 3.3123 -2.0017
-4.2679 -3.4973 -4.3601
-2.5940 2.9888 5.8132
Y Pa Si
1 2 6
direct
0.0000 0.0000 0.0000
0.0000 0.3333 0.6667
0.0000 0.6667 0.3333
0.5000 0.3343 0.3343
0.5000 0.6657 0.6657
0.5000 0.0000 0.6657
0.5000 0.6657 0.0000
0.5000 0.3343 0.0000
0.5000 0.0000 0.3343
```

Computed properties:
* E_form (uncorrected): -0.549 eV per atom
* DOS at the Fermi energy: 0.7219 states/eV per atom
The article goes on:

Observation - Odd-come-short | Odd-come-shortly - Offer | Offer - Old | Old - On | On - Opaque | Opart - Optional | Optophone - Origin | Original - Otter-dog | Otter-hound - Outhouse | Outing - Overboard | Overboil - Overshoot | Overshoot - P.e.i. |

P.g. - Pah | Paid - Palmitic | Palmtop - Paper | Paper-back - Paratyphoid | Paravane - Part | Part - Passenger | Passenger - Patten | Patter - Peanut | Pear - Peggy | Pegmatite - Penthouse | Pentode - Periphrastic | Peripteral - Perspicacious | Perspicacity - Phantasmagoric | Phantasmal - Photographer | Photographer`s - Picture | Picture - Pilotage | Pilotboat - Piss | Piss-pot - Plane-table | Plane-tree - Play | Play - Plughole | Plum - Poisoner | Poisoning - Polymorphism | Polymorphous - Populated | Population - Post-postscript | Post-town - Power | Power - Preceding | Precentor - Prepossession | Preposterous - Prevention | Preventive - Private | Private - Professionally | Professor - Propagation | Propane - Proud-stomached | Proudly - Public | Public - Pullulate | Pulmonary - Pursuance | Pursuant - Puzzle-headed | Puzzle-pated - Quarrel |

Quarrelsome - Quint | Quintain - Racoon |

Racquet - Raindrop | Rainfall - Rascaldom | Rascality - Rda | Rdf - Rear-admiral | Rear-end - Recollection | Recommence - Red-necked | Red-pencil - Refractor | Refractoriness - Rejig | Rejoice - Remotely | Remotely - Represser | Repression - Respecter | Respecter - Retrospection | Retrospective - Rhododendron | Rhodonite - Righto | Rightwards - Road-show | Road-test - Romanist | Romanize - Rouble | Roue - Rub | Rub-a-dub - Run | Run - Sack-coat |

Sack-race - Sales | Sales - Sandal | Sandal - Sauce | Sauce-boat - Scaphander | Scaphoid - Scintillate | Scintillate - Screenwriter | Screw - Sea-fight | Sea-fire - Secretary | Secretary - Seigniory | Seine - Self-renunciation | Self-respect - Seneschal | Senile - Serious | Seriousness - Sevan | Sevang - Shammy | Shammy-leather - Sheraton | Sherbet - Shooting-box | Shooting-gallery - Show | Show-bill - Side-track | Side-view - Simple-hearted | Simple-minded - Sixer | Sixfold - Slab | Slab-sided - Slim | Slim - Small | Small - Snap | Snap - Soak | Soak - Solely | Solemn - Sort | Sort - Spaceward | Spacing - Speed | Speed-boat - Spittle | Spittoon - Spreader | Spreadsheet - Squint-eyed | Squire - Stand | Stand - Statistics | Stats - Step-ins | Step-ladder - Stk | Stoat - Stormbound | Stormy - Stretch-out | Stretcher - Stumble | Stumbling-block - Subsoil | Subsonic - Suit | Suit - Superfluidity | Superfluity - Surmount | Surmount - Swear-word | Swearing-in - Sword-dance | Sword-fish - T.u.c. |

T.w. - Tail-slide | Tail-spin - Take | Take - Tanadar | Tananarive - Task | Task - Tear | Tear - Teleview | Televiewer - Tenpins | Tense - Tetragon | Tetragonal - The | The - Theme | Themis - Think | Think - Throne | Throng - Tiddly | Tiddly-winks - Tina | Tinctorial - To | To - Tonga | Tongs - Torsion | Torso - Trace | Trace - Tramway | Trance - Travel | Travel - Trickle | Trickle - Trot | Trot - Tub-thumper | Tub-thumping - Turn | Turn - Twine | Twine - Ucsf |

Udder - Unassisted | Unassuming - Unconfirmed | Unconforming - Underlet | Underlie - Unendurable | Unenlightened - Unimproved | Uninfluenced - Unnecessary | Unnerve - Unrighteousness | Unrip - Untested | Unthankful - Upon | Upper - Utmost | Utopia - Vane |

Vanguard - Vending | Vending - Vest-pocket | Vesta - Viking | Vila - Vitreous | Vitreous - Voucher | Vouchsafe - Walk |

Walk - Warfare | Warily - Watchword | Water - Waxed | Waxen - Weekly | Ween - Welter | Welter-weight - Whelp | When - White | White - Wigtownshire | Wigwag - Wineskin | Wing - Withdrawn | Withe - Wooden | Wooden - Worrier | Worrisome - Wykehamist | Wyo. - Yellow-hammer |

Yellow-livered - Zend |

Zend-avesta - `ve |

Новости 22.10.2024 15:19:45